• To do:
Please filter the data below: keep the lines with the word "Li1".

• Material:
/*
Entry 1:
## SrLiMo (PBE)

Data for a relaxed SrLiMo crystal.

CIF file:
```
data_SrLiMo
_chemical_formula_sum 'Sr4 Li4 Mo4'
_space_group_name_H-M_alt 'C 1 m 1'
_space_group_IT_number 8
_space_group_name_Hall 'C -2y'
_cell_length_a 12.768
_cell_length_b 3.617
_cell_length_c 8.763
_cell_angle_alpha 90.00
_cell_angle_beta 128.46
_cell_angle_gamma 90.00
loop_
_atom_site_label
_atom_site_type_symbol
_atom_site_fract_x
_atom_site_fract_y
_atom_site_fract_z
Sr1 Sr 0.000 0.000 0.000
Sr2 Sr 0.134 0.000 0.556
Li1 Li 0.262 0.500 0.325
Li2 Li 0.437 0.000 0.608
Mo1 Mo 0.218 0.500 0.963
Mo2 Mo 0.353 0.000 0.176
```

Results
Mass density: 3993 kg/m3
Energy of formation from the pure elements: 0.481 eV/atom
Relative energy among the computed polymorphs: 2.434 kcal/mol of atoms

Entry 2:
## KMo2W (PBE)

Data for a relaxed KMo2W crystal.

CIF file:
```
data_KMo2W
_chemical_formula_sum 'K1 Mo2 W1'
_space_group_name_H-M_alt 'P 1 2/m 1'
_space_group_IT_number 10
_space_group_name_Hall '-P 2y'
_cell_length_a 2.827
_cell_length_b 4.338
_cell_length_c 7.678
_cell_angle_alpha 90.00
_cell_angle_beta 93.87
_cell_angle_gamma 90.00
loop_
_atom_site_label
_atom_site_type_symbol
_atom_site_fract_x
_atom_site_fract_y
_atom_site_fract_z
K1 K 0.000 0.000 0.000
Mo1 Mo 0.160 0.500 0.647
W1 W 0.500 0.000 0.500
```

Results
Mass density: 7332 kg/m3
Energy of formation from the pure elements: 0.892 eV/atom
Relative energy among the computed polymorphs: 3.320 kcal/mol of atoms

Entry 3:
## ScCr2Cl (PBE)

Data for a relaxed ScCr2Cl crystal.

CIF file:
```
data_ScCr2Cl
_chemical_formula_sum 'Sc2 Cr4 Cl2'
_space_group_name_H-M_alt 'C 1 2/m 1'
_space_group_IT_number 12
_space_group_name_Hall '-C 2y'
_cell_length_a 4.938
_cell_length_b 10.253
_cell_length_c 3.054
_cell_angle_alpha 90.00
_cell_angle_beta 127.92
_cell_angle_gamma 90.00
loop_
_atom_site_label
_atom_site_type_symbol
_atom_site_fract_x
_atom_site_fract_y
_atom_site_fract_z
Sc1 Sc 0.000 0.000 0.000
Cr1 Cr 0.250 0.250 0.000
Cl1 Cl 0.000 0.500 0.000
```

Results
Mass density: 5020 kg/m3
Relative energy among the computed polymorphs: 11.994 kcal/mol of atoms
Energy relative to the elements, uncorrected: 0.33 eV per atom

Entry 4:
## CrFe2P (PBE)

Data for a relaxed CrFe2P crystal.

CIF file:
```
data_CrFe2P
_chemical_formula_sum 'Cr4 Fe8 P4'
_space_group_name_H-M_alt 'F -4 3 m'
_space_group_IT_number 216
_space_group_name_Hall 'F -4 2 3'
_cell_length_a 5.579
_cell_length_b 5.579
_cell_length_c 5.579
_cell_angle_alpha 90.00
_cell_angle_beta 90.00
_cell_angle_gamma 90.00
loop_
_atom_site_label
_atom_site_type_symbol
_atom_site_fract_x
_atom_site_fract_y
_atom_site_fract_z
Cr1 Cr 0.000 0.000 0.000
Fe1 Fe 0.000 0.000 0.500
Fe2 Fe 0.250 0.250 0.750
P1 P 0.250 0.250 0.250
```

Results
Mass density: 7445 kg/m3
Energy of formation from the pure elements: -0.166 eV/atom

Entry 5:
## Li2CoSn4 (PBE)

Data for a relaxed Li2CoSn4 crystal.

CIF file:
```
data_Li2CoSn4
_chemical_formula_sum 'Li4 Co2 Sn8'
_space_group_name_H-M_alt 'I 4/m m m'
_space_group_IT_number 139
_space_group_name_Hall '-I 4 2'
_cell_length_a 4.914
_cell_length_b 4.914
_cell_length_c 13.863
_cell_angle_alpha 90.00
_cell_angle_beta 90.00
_cell_angle_gamma 90.00
loop_
_atom_site_label
_atom_site_type_symbol
_atom_site_fract_x
_atom_site_fract_y
_atom_site_fract_z
Li1 Li 0.000 0.000 0.122
Co1 Co 0.000 0.000 0.500
Sn1 Sn 0.000 0.000 0.313
Sn2 Sn 0.000 0.500 0.000
```

Results
Mass density: 5432 kg/m3
Energy of formation from the pure elements: 0.026 eV/atom
Relative energy among the computed polymorphs: 2.481 kcal/mol of atoms

Entry 6:
## KH4Pt (PBE)

Data for a relaxed KH4Pt crystal.

CIF file:
```
data_KH4Pt
_chemical_formula_sum 'K1 H4 Pt1'
_space_group_name_H-M_alt 'P 4/m m m'
_space_group_IT_number 123
_space_group_name_Hall '-P 4 2'
_cell_length_a 3.545
_cell_length_b 3.545
_cell_length_c 5.344
_cell_angle_alpha 90.00
_cell_angle_beta 90.00
_cell_angle_gamma 90.00
loop_
_atom_site_label
_atom_site_type_symbol
_atom_site_fract_x
_atom_site_fract_y
*/

• Result:
Li1 Li 0.262 0.500 0.325
Li1 Li 0.000 0.000 0.122